Archive for January, 2012

Savvy. Competent. Knowledgeable. Well-versed. Polished. Credible. Expert. Proficient. Finesse. Prowess. None of these things come without time or without practice. You can build your level of competency at something by taking a course, but it still doesn’t mean you’re competent.

I’m starting a 10 week Biggest Loser competition tomorrow and it got me thinking about all of the other weight loss attempts I’ve made in my life. My first successful attempt was with Weight Watchers back somewhere around 2002/2003. Following their points system, I dropped about 35 lbs. Through the return of my old eating habits and some not-so-pleasant life experiences, it crept back on. I figured I’d try Herbal Magic next. This was 2004. I had some success there, but kept expecting their magical pills to do more of the work than I was willing to do at the time. Now, there’s no magic pills, there’s no points systems. There’s just me and my eating and exercise habits. Why? Because I know what to do. I just haven’t done it yet.

Stay with me, I do have a point. How many times have you gone to a conference or taken a course to find your world is blown away with all the brand new info and knowledge you’ve just gained? If it’s your first time seeing the material, probably a ton. If it’s a conference for the industry you’re employed in, I’m willing to bet you’re happy if you can even pick up 3 new takeaways. More often than not, we sit there thinking, “Yeah, yeah. I KNOW this stuff already.” Sure you know it. But have you applied it yet?

I know all of the steps I should be taking to fit into my old jeans again. You can sure bet I haven’t been doing them. How can you tell? Well… I’d be wearing my old jeans. But just because I “know” what I “should” be doing, doesn’t mean I’m knowledgeable in the subject. Again, how can you tell? I’m not wearing my old jeans. I haven’t put it to practice… yet.

Watch for people claiming any of the words I’ve listed above. Especially if you know nothing about whatever it is they’re trying to teach you or sell you on. There are plenty of folks out there who aren’t walking the talk, but are happy to be leaving with your moolah anyway. Ask what kind of results they’ve had. Long term results. You should be confident that whatever they will be teaching you is sustainable over the long-term. We all know how well fad diets work. Whether it’s a course on business or marketing (particularly social marketing), a new skill you’re trying to pick up, techniques to improve your performance (mind in gutter or not), do yourself a favour and do your due diligence. Question their savviness, competency, knowledge, well-versedness, polishing, credibility, expertise, proficiency, finesse and/or prowess. And, if it’s something you already “know,” don’t waste their time. Get your butt in gear, apply what you know first and then head back for help. Who knows? With all that practice, maybe you’ll be the one at the head of the class.


I’ve had my Paypal account for AGES. I also haven’t used it in AGES. I attempted to login a couple of days ago to send someone some money and, for the life of me, could not remember my password. I tried the password reset via email, but the link that came in the emails just kept redirecting back to Paypal’s main page. With a request in to their helpdesk, the suggestion that came back was to phone in to have this resolved sooner rather than later.

Today, armed with the last 4 digits of the bank account I’ve got hooked into Paypal, that’s exactly what I did. It was easy, painless, seamless and fast. The steps:

1. I phoned their customer support line. The automated voice was able to confirm who I was using the last 4 digits of my account number.

2. Once I was confirmed, it automatically (and instantly) sent me an email with a password reset link… and it actually worked!

3. I clicked on the link and the automated system gave me a 5 digit code to enter into the page I was on.

Paypal Password Reset

4. Once I clicked “continue,” I was brought to a page to reset my password and security questions.

5. Voila! All logged in and all under 5 minutes.

If you’re using an automated system in conjunction with your website, make it this easy and people will appreciate it almost as much as a talking to a person… almost.

Either way, password recovered, payment made and one happy Paypal customer served!

What made this worth blogging about? Well, for one it’s always nice to shout out companies when they’ve done something right, especially for an area they might not otherwise hear much about (like password reset processes and experiences) and I think it’s an example for the rest of us to strive for. There were no wait queues for the help desk. I didn’t have to press 1 to speak to an agent or try to explain my entire issue to three different people because I phoned the wrong department. They kept it simple, clean and fast. Thanks Paypal!

Once upon a time, in a land far, far away, I was an early patron of internet dating sites. Yep, I had profiles on the likes of Lavalife and POF for some years. These early social media sites (yes I call them social media sites, after all, what’s more social than meeting people and dating?) were my way to pre-screen. And it worked pretty well I’d say. I invested a lot of time in talking to people on the site to find those genuinely interested in meeting someone vs. those looking for a quick bootie call or the serial daters. My use of dating sites fell by the wayside probably somewhere in the realm of 5 or 6 years ago. But I kept my profiles, you know, “just in case”. I didn’t have any particular beef with any of them. I had met some genuinely good people (it’s all about the pre-screen).

Attached: records of molecules:
/*
DFT (the ωB97M-V functional and the def2-TZVPD basis) results for 4 unconnected molecules or ions with the total composition C27H39BF6N6O12 at a distorted geometry.

XYZ file:
```
91
C27H39BF6N6O12 (the ωB97M-V functional and the def2-TZVPD basis)
F -1.8335 -4.1086 0.0752
F -3.9048 -2.5676 1.2942
F -3.8715 -4.1116 -0.6402
F -1.6107 -2.3219 2.1070
F -3.7695 -1.1819 -0.3443
F -0.7330 -1.6182 0.2614
O -1.3806 -3.7695 -2.4403
O 5.9993 -2.6419 1.8273
O 1.9466 1.7712 -3.5703
O -3.1084 0.6093 -2.7961
O 4.2170 -1.2754 2.0077
O -2.9513 -2.2178 -2.6968
O 4.6680 4.5186 4.0200
O -10.1764 -3.1062 -0.6819
O -3.7808 2.3153 1.5295
O -1.8719 3.3965 2.4856
O -2.7544 -0.0839 2.6135
O -1.7200 0.4820 -1.1609
N -2.3058 3.7584 -1.0331
N -7.9739 -3.0903 -1.2322
N -2.0726 0.9974 -2.4741
N 3.2525 1.2139 -5.3389
N 3.0817 3.9472 5.5409
N 0.7693 1.4321 2.5468
C -1.8089 2.7832 -0.7000
C 4.4335 1.4838 -6.1371
C 0.3263 1.7153 -0.7002
C -9.2149 -2.5668 -1.1911
C 3.5747 -0.3389 -0.6505
C 2.3899 0.1007 -5.6994
C 4.8113 -2.4656 1.8067
C 3.9060 -3.5995 1.5402
C 2.9257 1.9594 -4.2722
C 2.6363 3.9614 6.9186
C 2.2488 3.3125 4.5295
C -2.0682 -0.1070 1.6355
C -1.4323 1.2256 1.1766
C -2.2809 -3.1152 -1.9967
C -3.0895 -2.1170 0.3175
C -7.7483 -4.3930 -0.6292
C 1.1730 0.4518 -0.6715
C -6.8638 -2.3979 -1.8547
C -1.8277 -1.5253 1.0390
C 4.2474 4.5033 5.1600
C -0.1984 1.3304 1.9465
C 2.6394 0.8653 -0.7777
C -1.1553 1.4947 -0.3324
C 4.9558 -0.1492 1.5199
C 4.9037 0.0397 -0.0002
C 2.6279 -3.4636 1.2374
C -2.7357 -3.3699 -0.5493
B -2.4326 2.3768 1.7590
H 5.0599 1.1027 -0.1698
H 2.0691 -4.2616 0.7821
H 0.3051 2.0618 -1.7302
H 3.6392 2.7769 -4.0776
H 1.3835 0.4634 -5.9108
H 1.6808 4.4847 6.9985
H 2.1399 -2.5241 1.4395
H 0.7528 2.5340 -0.1307
H -8.3811 -5.1405 -1.1087
H 2.8188 1.4357 -1.6767
H 2.8259 1.4759 0.1075
H 4.1463 1.6955 -7.1686
H 5.9915 -0.1893 1.8315
H 4.8043 4.9569 5.9987
H -8.0023 -4.3625 0.4306
H 3.7961 -0.7131 -1.6514
H -6.7040 -4.6724 -0.7440
H -2.4477 3.5674 3.2426
H 1.9751 4.0423 3.7670
H -7.1935 -1.4419 -2.2554
H 5.0987 0.6187 -6.1240
H 5.7509 -0.4659 -0.4533
H 0.9048 -0.1988 -1.4956
H 1.0847 -0.0437 0.2893
H -9.2821 -1.5765 -1.6746
H 3.3678 4.4697 7.5433
H -4.3000 2.2326 2.3368
H 2.3307 -0.6076 -4.8722
H 2.7876 -0.3999 -6.5779
H 4.9666 2.3432 -5.7373
H 4.5316 0.7209 2.0089
H 3.0814 -1.1471 -0.1320
H -6.4588 -3.0023 -2.6699
H 4.3455 -4.5794 1.6139
H 1.3495 2.9130 4.9893
H 2.5115 2.9394 7.2828
H -2.5092 -2.1292 -3.5538
H 2.7961 2.5054 4.0474
H -6.0757 -2.2263 -1.1197
```

The total charge is 0. The value obtained for the electronic energy is -79120.63467 eV. The spin multiplicity is 1. Its structure (SMILES) is C=CC(=O)OCCCCCC[C@@](C#N)(ON=O)[C@@](C#N)(B(O)O)C(=O)C(F)(F)C(F)(F)C(F)(F)C(=O)O.CN(C)C=O.CN(C)C=O.CN(C)C=O.

Atomic partial charges in e from the Mulliken method, atoms 1 to 4: -0.22, -0.36, -0.27, -0.32

=====
*/

One day, I got around to cleaning out my inbox. I did one purge a couple of months back, unsubscribing from as many e-newsletters and regular mailouts that I could stand to do in one sitting. But when 300 unread emails still piled up over the course of a few weeks, it was clear more of them had to be on the chopping block. As I scrolled through the unread messages, a POF update came across my line of vision. “A-ha! I haven’t used that in years!” What the hell, I’ll go all in and delete my account altogether. Well, when I clicked on the link from the email to change my profile preferences, guess what I saw?

The message on my POF profile page

**Attached: data records**
=====
Entry 1:
187
Properties=species:S:1:pos:R:3:lowdin_charge:R:1 method="wB97M-V/def2-TZVPD" orbital_gap_ev=8.753 multiplicity=1 homo_energy_ev=-8.583
C -1.35 6.07 -3.37 -0.67
O -1.58 6.22 -4.57 0.01
N -0.51 5.10 -2.87 0.14
N -1.94 6.76 -2.35 0.14
H 0.26 4.76 -3.53 0.13
H -0.30 4.92 -1.89 0.06
H -2.23 6.14 -1.61 0.06
H -2.76 7.20 -2.69 0.08
C 2.73 -2.20 -0.61 -0.61
O 2.59 -1.07 -0.13 -0.03
N 3.54 -2.54 -1.67 0.17
N 2.06 -3.25 -0.04 0.19
H 3.17 -3.39 -2.18 0.11
H 3.93 -1.84 -2.28 0.06
H 1.53 -3.10 0.80 0.11
H 2.33 -4.17 -0.28 0.09
C -2.51 0.87 -3.84 -0.61
O -3.26 -0.07 -4.06 0.00
N -2.31 1.86 -4.77 0.15
N -1.71 0.98 -2.69 0.16
H -3.12 1.93 -5.38 0.11
H -2.09 2.78 -4.31 0.12
H -1.35 0.03 -2.36 0.08
H -0.82 1.37 -2.85 0.02
C 1.33 4.55 1.97 -0.70
O 1.23 3.35 1.89 -0.01
N 2.46 5.13 2.58 0.17
N 0.39 5.29 1.41 0.17
H 3.08 4.51 3.11 0.09
H 2.67 6.09 2.77 0.09
H 0.43 6.28 1.48 0.10
H -0.44 4.96 0.88 0.04
C -4.42 -3.81 -0.08 -0.53
O -3.44 -4.56 -0.24 -0.04
N -5.16 -3.27 -1.23 0.18
N -4.84 -3.35 1.18 0.17
H -5.73 -2.58 -0.83 0.04
H -5.50 -3.93 -1.86 0.03
H -4.36 -3.55 2.05 0.09
H -5.62 -2.69 1.21 0.07
C -2.34 3.28 -0.06 -0.62
O -1.66 4.32 0.14 -0.08
N -1.77 2.17 0.37 0.20
N -3.55 3.41 -0.65 0.20
H -0.78 2.36 0.51 0.10
H -2.00 1.24 0.00 0.07
H -4.15 2.60 -0.78 0.10
H -3.91 4.32 -0.49 0.10
C 1.38 0.94 -3.87 -0.63
O 1.13 1.88 -3.08 -0.04
N 1.93 -0.22 -3.46 0.23
N 1.09 1.18 -5.22 0.15
H 2.04 -1.14 -3.84 0.06
H 2.19 -0.19 -2.51 0.06
H 0.81 0.29 -5.65 0.10
H 0.35 1.89 -5.26 0.09
C -4.99 0.74 2.13 -0.58
O -4.98 1.15 0.92 -0.08
N -3.89 1.11 2.91 0.17
N -6.04 -0.02 2.53 0.18
H -3.03 1.39 2.39 0.09
H -3.79 0.66 3.78 0.06
H -6.70 -0.21 1.81 0.03
H -6.24 -0.37 3.49 0.14
C 6.06 -0.06 -3.33 -0.68
O 6.44 -1.05 -3.93 0.00
N 5.50 -0.21 -2.08 0.13
N 6.16 1.21 -3.90 0.15
H 6.07 -0.95 -1.65 0.11
H 5.43 0.61 -1.43 0.10
H 6.16 1.16 -4.92 0.11
H 5.59 1.95 -3.48 0.07
C -0.93 -0.81 0.11 -0.73
O -0.71 -1.11 -1.04 0.01
N 0.06 -0.43 0.92 0.22
N -2.15 -0.72 0.66 0.16
H 0.99 -0.49 0.58 0.05
H -0.09 -0.19 1.87 0.07
H -2.83 -1.21 0.07 0.11
H -2.28 -0.90 1.68 0.10
C -0.98 -4.93 2.83 -0.68
O -0.25 -4.79 3.83 -0.01
N -1.27 -6.18 2.40 0.18
N -1.51 -3.96 2.15 0.21
H -0.87 -6.89 2.95 0.09
H -1.89 -6.46 1.68 0.09
H -1.25 -3.04 2.45 0.06
H -1.94 -4.24 1.29 0.07
C -2.32 3.46 4.83 -0.69
O -2.24 2.33 5.23 0.00
N -3.29 4.27 5.35 0.15
N -1.32 4.00 4.08 0.18
H -3.25 5.29 5.28 0.11
H -3.59 3.90 6.23 0.10
H -1.44 4.78 3.44 0.10
H -0.65 3.33 3.71 0.09
C -3.95 -5.78 -4.38 -0.64
O -4.99 -6.10 -4.94 0.00
N -2.84 -5.35 -5.08 0.15
N -4.01 -5.64 -2.98 0.17
H -2.28 -4.61 -4.68 0.03
H -3.17 -5.16 -6.04 0.11
H -3.24 -5.39 -2.39 0.03
H -4.72 -6.22 -2.62 0.08
C 3.35 2.74 -1.10 -0.65
O 4.33 2.80 -1.80 0.02
N 2.55 3.86 -1.02 0.16
N 2.95 1.65 -0.27 0.16
H 2.87 4.67 -1.50 0.10
H 1.84 3.97 -0.23 0.09
H 3.23 0.80 -0.78 0.05
H 1.95 1.60 -0.17 0.07
C -6.58 -2.10 -4.06 -0.64
O -7.26 -1.17 -3.67 0.00
N -6.94 -3.44 -4.11 0.16
N -5.30 -1.87 -4.56 0.16
H -6.48 -4.03 -4.80 0.09
H -7.90 -3.61 -3.85 0.10
H -4.83 -1.03 -4.27 0.04
=====
**Here the entry continues**

There’s nothing wrong with the top one. People pay attention to real people with real photos more so than those with no picture or fake photos, that one’s a no-brainer. My eyes fell on the second notice. Well how about that! Somewhere in the last 5 years, I’ve found myself a husband, managed to get myself hooked on any number of drugs and taken to poisoning myself with a cancer stick. Man, I’ve been busy! Had I logged in to update my POF profile, I could’ve avoided so many problems. And found a nice man to keep me out of trouble. What kind of guy did I marry anyway that would support such habits?

Like I said, I had no beef with POF before deleting my account. But after seeing that? I gleefully, yes gleefully pressed the delete button.

Have you noticed how ridiculous it is that we’ve got a distracted driving law? It’s not ridiculous to want to stop people from chatting on their phones, texting, checking their emails, shaving, putting on their mascara, etc. while driving, but what is ridiculous is we’ve come so far down this road that our own government’s got to impose a law to protect us from ourselves. When did it become okay for us not to pay attention?

I can’t pinpoint exactly when it happened, but over the last few months I’ve found myself getting annoyed at the very behaviours I used to model… keeping my cell phone on the table while out for coffee with someone, live tweeting an event, checking for emails or texts or messages so periodically I couldn’t even keep track of the amount of times I would look at my iPhone in a day…

Back in November, I was out with a few of the Calgary yelpers at Craft. We had all pulled out our phones at one point or another, so I decided to impose a no phone rule for 30 minutes. If anyone so much as looked at their phones during that time, they had to buy us all dessert. Ten minutes in, guess who lost at her own game?

It’s not just our phones. It’s the fact that many of us find our self-worth at the mall, we make ourselves feel better by letting out a snarky comment instead of pointing that same finger right back at ourselves, or we find ways not to fix our own problems by dismissing them with a phrase like, “Oh, such a first world problem!” It may be a first world problem, but the fact that we then don’t follow-up with any action to correct it is a slippery slope.

It’s still way too early to tell what kind of impact this new wave of communication will have on us, we’re the ones experimenting with it. But I’ve taken my head out of the sand and I don’t think I want to stick it back in. I feel like it’s irresponsible of us to go forth with so much gusto without examining the impacts it has on our lives. Are we satisfied being friend collectors, having many surface relationships (which in turn are another great way to ensure we don’t ever have to dive too deep)? Or are we consciously finding the balance between these online connections and the deep, personal connections we ultimately need to find happiness and satisfaction in our lives? Some of us do the latter quite well. But the majority of us? Well, I think the existence of The Distracted Driving Law says it all.